Now copy only the lines further below with the word "frac_coords" in them.

........
1.
{
  "formula": "Ac2B4Os5",
  "functional": "GGA-PBE",
  "state": "optimized geometry",
  "total_energy_ev_per_atom": -8.514,
  "dos_ef_per_ev_atom": 0.82,
  "e_form_ev_per_atom": -0.235,
  "mass_density_g_cm3": 14.36,
  "cell": [[5.031, 0.000, 2.402], [2.516, 5.206, 1.201], [0.030, 0.000, 6.407]],
  "species": ["Ac", "Ac", "B", "B", "B", "B", "Os", "Os", "Os", "Os", "Os"],
  "frac_coords": [[0.855, 0.000, 0.290], [0.145, 0.000, 0.710], [0.469, 0.323, 0.739], [0.531, 0.677, 0.261], [0.208, 0.323, 0.261], [0.792, 0.677, 0.739], [0.500, 0.000, 0.000], [0.000, 0.500, 0.000], [0.500, 0.500, 0.000], [0.250, 0.500, 0.500], [0.750, 0.500, 0.500]]
}

---

2.
{
  "formula": "Na3Sc2GeO6",
  "functional": "GGA-PBE",
  "state": "optimized geometry",
  "total_energy_ev_per_atom": -6.561,
  "dos_ef_per_ev_atom": 0.44,
  "e_form_raw_ev_per_atom": -2.313,
  "mass_density_g_cm3": 3.78,
  "cell": [[-0.089, 1.898, 5.170], [-0.437, -5.407, -0.955], [5.622, 0.678, -1.129]],
  "species": ["Na", "Na", "Na", "Sc", "Sc", "Ge", "O", "O", "O", "O", "O", "O"],
  "frac_coords": [[0.163, 0.837, 0.500], [0.837, 0.163, 0.500], [0.500, 0.500, 0.500], [0.333, 0.667, 0.000], [0.667, 0.333, 0.000], [0.000, 0.000, 0.000], [0.932, 0.600, 0.796], [0.736, 0.736, 0.204], [0.068, 0.400, 0.204], [0.600, 0.932, 0.796], [0.264, 0.264, 0.796], [0.400, 0.068, 0.204]]
}

---

3.
{
  "formula": "Th2Pd3",
  "functional": "GGA-PBE",
  "state": "optimized geometry",
  "total_energy_ev_per_atom": -6.692,
  "dos_ef_per_ev_atom": 0.87,
  "e_form_ev_per_atom": -0.609,
  "mass_density_g_cm3": 10.62,
  "cell": [[-4.367, -3.266, -6.651], [5.134, -6.055, 3.309], [-5.527, 2.677, 6.022]],
  "species": ["Th", "Th", "Th", "Th", "Th", "Th", "Th", "Th", "Pd", "Pd", "Pd", "Pd", "Pd", "Pd", "Pd", "Pd", "Pd", "Pd", "Pd", "Pd"],
  "frac_coords": [[0.927, 0.427, 0.427], [0.000, 0.000, 0.073], [0.573, 0.500, 0.000], [0.500, 0.073, 0.500], [0.427, 0.927, 0.927], [0.000, 0.000, 0.573], [0.500, 0.573, 0.500], [0.073, 0.500, 0.000], [0.511, 0.250, 0.261], [0.989, 0.750, 0.239], [0.750, 0.261, 0.011], [0.250, 0.239, 0.489], [0.761, 0.011, 0.250], [0.739, 0.489, 0.750], [0.250, 0.511, 0.761], [0.750, 0.989, 0.739], [0.261, 0.750, 0.511], [0.239, 0.250, 0.989], [0.011, 0.761, 0.750], [0.489, 0.739, 0.250]]
}

---

4.
{
  "formula": "Mn2CrP2",
  "functional": "GGA-PBE",
  "state": "optimized geometry",
  "total_energy_ev_per_atom": -8.143,
  "dos_ef_per_ev_atom": 0.57,
  "e_form_ev_per_atom": -0.387,
  "mass_density_g_cm3": 5.96,
  "cell": [[2.891, 0.000, -0.728], [-0.402, 6.518, -1.593], [0.129, -0.100, 6.614]],
  "species": ["Mn", "Mn", "Mn", "Mn", "Cr", "Cr", "P", "P", "P", "P"],
  "frac_coords": [[0.000, 0.738, 0.500], [0.316, 0.152, 0.133], [0.684, 0.848, 0.867], [0.000, 0.262, 0.500], [0.320, 0.667, 0.139], [0.680, 0.333, 0.861], [0.878, 0.941, 0.256], [0.132, 0.567, 0.764], [0.122, 0.059, 0.744], [0.868, 0.433, 0.236]]
}

---

5.
{
  "formula": "NaS2NO",
  "functional": "GGA-PBE",
  "state": "optimized geometry",
  "total_energy_ev_per_atom": -2.549,
  "dos_ef_per_ev_atom": 0.75,
  "e_above_lowest_polymorph_kj_per_mol_atoms": 89.0,
  "e_form_raw_ev_per_atom": 2.023,
  "mass_density_g_cm3": 1.46,
  "cell": [[-0.138, 5.276, 0.803], [-5.129, 0.091, -1.475], [-1.293, -0.712, 4.452]],
  "species": ["Na", "S", "S", "O", "N"],
  "frac_coords": [[0.000, 0.000, 0.000], [0.000, 0.500, 0.000], [0.500, 0.000, 0.000], [0.500, 0.500, 0.500], [0.000, 0.000, 0.500]]
}

---

6.
{
  "formula": "Hf3TcAs",
  "functional": "GGA-PBE",
  "state": "optimized geometry",
  "total_energy_ev_per_atom": -8.432,
  "dos_ef_per_ev_atom": 0.76,
  "e_form_ev_per_atom": 0.543,
  "e_above_lowest_polymorph_kj_per_mol_atoms": 10.6,
  "mass_density_g_cm3": 10.21,
  "cell": [[-1.251, 1.191, 4.549], [-4.692, -0.617, -1.129], [0.300, -4.677, 1.307]],
  "species": ["As", "Hf", "Hf", "Hf", "Tc"],
  "frac_coords": [[0.000, 0.000, 0.000], [0.000, 0.500, 0.000], [0.000, 0.000, 0.500], [0.500, 0.000, 0.000], [0.500, 0.500, 0.500]]
}
........

  "frac_coords": [[0.855, 0.000, 0.290], [0.145, 0.000, 0.710], [0.469, 0.323, 0.739], [0.531, 0.677, 0.261], [0.208, 0.323, 0.261], [0.792, 0.677, 0.739], [0.500, 0.000, 0.000], [0.000, 0.500, 0.000], [0.500, 0.500, 0.000], [0.250, 0.500, 0.500], [0.750, 0.500, 0.500]]
  "frac_coords": [[0.163, 0.837, 0.500], [0.837, 0.163, 0.500], [0.500, 0.500, 0.500], [0.333, 0.667, 0.000], [0.667, 0.333, 0.000], [0.000, 0.000, 0.000], [0.932, 0.600, 0.796], [0.736, 0.736, 0.204], [0.068, 0.400, 0.204], [0.600, 0.932, 0.796], [0.264, 0.264, 0.796], [0.400, 0.068, 0.204]]
  "frac_coords": [[0.927, 0.427, 0.427], [0.000, 0.000, 0.073], [0.573, 0.500, 0.000], [0.500, 0.073, 0.500], [0.427, 0.927, 0.927], [0.000, 0.000, 0.573], [0.500, 0.573, 0.500], [0.073, 0.500, 0.000], [0.511, 0.250, 0.261], [0.989, 0.750, 0.239], [0.750, 0.261, 0.011], [0.250, 0.239, 0.489], [0.761, 0.011, 0.250], [0.739, 0.489, 0.750], [0.250, 0.511, 0.761], [0.750, 0.989, 0.739], [0.261, 0.750, 0.511], [0.239, 0.250, 0.989], [0.011, 0.761, 0.750], [0.489, 0.739, 0.250]]
  "frac_coords": [[0.000, 0.738, 0.500], [0.316, 0.152, 0.133], [0.684, 0.848, 0.867], [0.000, 0.262, 0.500], [0.320, 0.667, 0.139], [0.680, 0.333, 0.861], [0.878, 0.941, 0.256], [0.132, 0.567, 0.764], [0.122, 0.059, 0.744], [0.868, 0.433, 0.236]]
  "frac_coords": [[0.000, 0.000, 0.000], [0.000, 0.500, 0.000], [0.500, 0.000, 0.000], [0.500, 0.500, 0.500], [0.000, 0.000, 0.500]]
  "frac_coords": [[0.000, 0.000, 0.000], [0.000, 0.500, 0.000], [0.000, 0.000, 0.500], [0.500, 0.000, 0.000], [0.500, 0.500, 0.500]]